'''
# 1
Density functional theory data (PBE) for a geometry-optimized MnCr2CuPd structure.

Volume (A^3/atom): 18.1
E_form (meV/atom): 2050.3

abc: 4.491 4.491 4.485
angles: 90.00 90.00 90.00
Atoms (fractional coordinates):
Mn (0.000, 0.000, 0.000)
Cr (0.000, 0.500, 0.500)
Cr (0.500, 0.000, 0.500)
Cu (0.500, 0.500, 0.000)
Pd (0.000, 0.000, 0.500)

***

# 2
Density functional theory data (PBE) for a geometry-optimized MnCrCuPt structure.

Volume (A^3/atom): 13.8
E_form (meV/atom): -112.7

abc: 4.275 4.275 4.275
angles: 60.00 60.00 60.00
Atoms (fractional coordinates):
Mn (0.000, 0.000, 0.000)
Cr (0.250, 0.250, 0.250)
Cu (0.500, 0.500, 0.500)
Pt (0.750, 0.750, 0.750)

***

# 3
Density functional theory data (PBE) for a geometry-optimized RbMn2CrCu structure.

Volume (A^3/atom): 24.0
E_form (meV/atom): 2591.5

abc: 4.907 4.907 4.981
angles: 90.00 90.00 90.00
Atoms (fractional coordinates):
Rb (0.000, 0.000, 0.000)
Mn (0.000, 0.500, 0.000)
Mn (0.500, 0.000, 0.000)
Cr (0.000, 0.000, 0.500)
Cu (0.500, 0.500, 0.500)

***

# 4
Density functional theory data (PBE) for a geometry-optimized MnCrCuRh structure.

Volume (A^3/atom): 13.2
E_form (meV/atom): 55.3

abc: 4.210 4.210 4.210
angles: 60.00 60.00 60.00
Atoms (fractional coordinates):
Mn (0.000, 0.000, 0.000)
Cr (0.750, 0.750, 0.750)
Cu (0.250, 0.250, 0.250)
Rh (0.500, 0.500, 0.500)

***

# 5
Density functional theory data (PBE) for a geometry-optimized MnCr8Cu3S16 structure.

Volume (A^3/atom): 17.4
Total DFT energy (no corrections) (eV/atom): -6.5266

abc: 12.122 12.122 12.122
angles: 33.61 33.61 33.61
Atoms (fractional coordinates):
Mn (0.000, 0.000, 0.000)
Cr (0.186, 0.186, 0.186)
Cr (0.433, 0.433, 0.941)
Cr (0.433, 0.941, 0.433)
Cr (0.443, 0.936, 0.936)
Cr (0.690, 0.690, 0.690)
Cr (0.936, 0.443, 0.936)
Cr (0.936, 0.936, 0.443)
Cr (0.941, 0.433, 0.433)
Cu (0.375, 0.375, 0.375)
Cu (0.500, 0.500, 0.500)
Cu (0.875, 0.875, 0.875)
S (0.044, 0.575, 0.575)
S (0.068, 0.068, 0.068)
S (0.074, 0.074, 0.541)
S (0.074, 0.541, 0.074)
S (0.301, 0.301, 0.831)
S (0.301, 0.831, 0.301)
S (0.308, 0.308, 0.308)
S (0.337, 0.797, 0.797)
S (0.541, 0.074, 0.074)
S (0.566, 0.566, 0.566)
S (0.575, 0.044, 0.575)
S (0.575, 0.575, 0.044)
S (0.797, 0.337, 0.797)
S (0.797, 0.797, 0.337)
S (0.809, 0.809, 0.809)
S (0.831, 0.301, 0.301)

***

# 6
Density functional theory data (PBE) for a geometry-optimized MnCr8Cu3S16 structure.

Volume (A^3/atom): 17.4
Total DFT energy (no corrections) (eV/atom): -6.5260

abc: 7.003 7.003 9.909
angles: 90.00 90.00 90.00
Atoms (fractional coordinates):
Mn (0.000, 0.000, 0.000)
Cr (0.000, 0.251, 0.379)
Cr (0.000, 0.749, 0.379)
Cr (0.251, 0.000, 0.621)
Cr (0.257, 0.500, 0.126)
Cr (0.500, 0.257, 0.874)
Cr (0.500, 0.743, 0.874)
Cr (0.743, 0.500, 0.126)
Cr (0.749, 0.000, 0.621)
Cu (0.000, 0.500, 0.749)
Cu (0.500, 0.000, 0.251)
Cu (0.500, 0.500, 0.500)
S (0.000, 0.234, 0.618)
S (0.000, 0.270, 0.136)
S (0.000, 0.730, 0.136)
S (0.000, 0.766, 0.618)
S (0.234, 0.000, 0.382)
S (0.234, 0.500, 0.367)
S (0.265, 0.500, 0.883)
S (0.270, 0.000, 0.864)
S (0.500, 0.234, 0.633)
S (0.500, 0.265, 0.117)
S (0.500, 0.735, 0.117)
S (0.500, 0.766, 0.633)
S (0.730, 0.000, 0.864)
S (0.735, 0.500, 0.883)
S (0.766, 0.000, 0.382)
S (0.766, 0.500, 0.367)

***

# 7
Density functional theory data (PBE) for a geometry-optimized CrCuMo structure.

Volume (A^3/atom): 15.8
E_form (meV/atom): 913.5

abc: 4.060 4.060 4.060
angles: 60.00 60.00 60.00
Atoms (fractional coordinates):
Cr (0.000, 0.000, 0.000)
Cu (0.750, 0.750, 0.750)
Mo (0.250, 0.250, 0.250)

***

# 8
Density functional theory data (PBE) for a geometry-optimized CrCuMo structure.

Volume (A^3/atom): 13.4
E_form (meV/atom): 265.9

abc: 6.614 6.486 2.569
angles: 81.52 75.88 22.59
Atoms (fractional coordinates):
Cr (0.000, 0.000, 0.000)
Cu (0.342, 0.342, 0.658)
Mo (0.667, 0.667, 0.333)

***

# 9
Density functional theory data (PBE) for a geometry-optimized CrCu2Mo structure.

Volume (A^3/atom): 13.0
E_form (meV/atom): 249.3

abc: 4.843 4.843 4.843
'''

Start at the top of the listing above and copy each line, ending with the one that has "(0.337, 0.797,", please.

# 1
Density functional theory data (PBE) for a geometry-optimized MnCr2CuPd structure.

Volume (A^3/atom): 18.1
E_form (meV/atom): 2050.3

abc: 4.491 4.491 4.485
angles: 90.00 90.00 90.00
Atoms (fractional coordinates):
Mn (0.000, 0.000, 0.000)
Cr (0.000, 0.500, 0.500)
Cr (0.500, 0.000, 0.500)
Cu (0.500, 0.500, 0.000)
Pd (0.000, 0.000, 0.500)

***

# 2
Density functional theory data (PBE) for a geometry-optimized MnCrCuPt structure.

Volume (A^3/atom): 13.8
E_form (meV/atom): -112.7

abc: 4.275 4.275 4.275
angles: 60.00 60.00 60.00
Atoms (fractional coordinates):
Mn (0.000, 0.000, 0.000)
Cr (0.250, 0.250, 0.250)
Cu (0.500, 0.500, 0.500)
Pt (0.750, 0.750, 0.750)

***

# 3
Density functional theory data (PBE) for a geometry-optimized RbMn2CrCu structure.

Volume (A^3/atom): 24.0
E_form (meV/atom): 2591.5

abc: 4.907 4.907 4.981
angles: 90.00 90.00 90.00
Atoms (fractional coordinates):
Rb (0.000, 0.000, 0.000)
Mn (0.000, 0.500, 0.000)
Mn (0.500, 0.000, 0.000)
Cr (0.000, 0.000, 0.500)
Cu (0.500, 0.500, 0.500)

***

# 4
Density functional theory data (PBE) for a geometry-optimized MnCrCuRh structure.

Volume (A^3/atom): 13.2
E_form (meV/atom): 55.3

abc: 4.210 4.210 4.210
angles: 60.00 60.00 60.00
Atoms (fractional coordinates):
Mn (0.000, 0.000, 0.000)
Cr (0.750, 0.750, 0.750)
Cu (0.250, 0.250, 0.250)
Rh (0.500, 0.500, 0.500)

***

# 5
Density functional theory data (PBE) for a geometry-optimized MnCr8Cu3S16 structure.

Volume (A^3/atom): 17.4
Total DFT energy (no corrections) (eV/atom): -6.5266

abc: 12.122 12.122 12.122
angles: 33.61 33.61 33.61
Atoms (fractional coordinates):
Mn (0.000, 0.000, 0.000)
Cr (0.186, 0.186, 0.186)
Cr (0.433, 0.433, 0.941)
Cr (0.433, 0.941, 0.433)
Cr (0.443, 0.936, 0.936)
Cr (0.690, 0.690, 0.690)
Cr (0.936, 0.443, 0.936)
Cr (0.936, 0.936, 0.443)
Cr (0.941, 0.433, 0.433)
Cu (0.375, 0.375, 0.375)
Cu (0.500, 0.500, 0.500)
Cu (0.875, 0.875, 0.875)
S (0.044, 0.575, 0.575)
S (0.068, 0.068, 0.068)
S (0.074, 0.074, 0.541)
S (0.074, 0.541, 0.074)
S (0.301, 0.301, 0.831)
S (0.301, 0.831, 0.301)
S (0.308, 0.308, 0.308)
S (0.337, 0.797, 0.797)